# Exercise
The reader should print the contents underneath word for word.

# Listing
<<<
Diffraction record for Tm2Ga8Co. The powder XRD pattern is calculated, not measured: it uses a cell relaxed with PBE and Cu Ka.
Kinematic intensities with the Lorentz-polarization factor, no thermal factor.

```
data_Tm2Ga8Co
_chemical_formula_sum 'Tm2 Ga8 Co1'
_cell_length_a 4.222
_cell_length_b 4.222
_cell_length_c 10.992
_cell_angle_alpha 90.00
_cell_angle_beta 90.00
_cell_angle_gamma 90.00
_symmetry_space_group_name_H-M 'P 4/m m m'
_symmetry_Int_Tables_number 123
_symmetry_space_group_name_Hall '-P 4 2'
loop_
_atom_site_label
_atom_site_type_symbol
_atom_site_fract_x
_atom_site_fract_y
_atom_site_fract_z
Tm1 Tm 0.000 0.000 0.195
Ga1 Ga 0.000 0.500 0.000
Ga2 Ga 0.000 0.500 0.383
Ga3 Ga 0.500 0.500 0.191
Co1 Co 0.000 0.000 0.500
```

Most intense lines, 2θ from 5° to 70°, most intense first:
two_theta  I_rel
38.91  100
42.83  57
34.18  52
60.83  27
21.04  24
41.06  22
62.18  19
32.35  12
31.04  9
44.83  8
>>>

# Done
Diffraction record for Tm2Ga8Co. The powder XRD pattern is calculated, not measured: it uses a cell relaxed with PBE and Cu Ka.
Kinematic intensities with the Lorentz-polarization factor, no thermal factor.

```
data_Tm2Ga8Co
_chemical_formula_sum 'Tm2 Ga8 Co1'
_cell_length_a 4.222
_cell_length_b 4.222
_cell_length_c 10.992
_cell_angle_alpha 90.00
_cell_angle_beta 90.00
_cell_angle_gamma 90.00
_symmetry_space_group_name_H-M 'P 4/m m m'
_symmetry_Int_Tables_number 123
_symmetry_space_group_name_Hall '-P 4 2'
loop_
_atom_site_label
_atom_site_type_symbol
_atom_site_fract_x
_atom_site_fract_y
_atom_site_fract_z
Tm1 Tm 0.000 0.000 0.195
Ga1 Ga 0.000 0.500 0.000
Ga2 Ga 0.000 0.500 0.383
Ga3 Ga 0.500 0.500 0.191
Co1 Co 0.000 0.000 0.500
```

Most intense lines, 2θ from 5° to 70°, most intense first:
two_theta  I_rel
38.91  100
42.83  57
34.18  52
60.83  27
21.04  24
41.06  22
62.18  19
32.35  12
31.04  9
44.83  8